Aug. 7, 2016, 7 p.m.
Aug. 7, 2016, 7 p.m.
Blaine looked up at Kurt from where he was laid on the park bench, his leather jacket doubling up as a pillow under his head. The other boy was perched on the part of the bench where someones head should be resting, his feet somehow puzzle-pieced between Blaines legs on the seat. He was reading his phone screen fervently in one hand and eating the take-out tacos theyd picked up with the other.
"What the hell are you looking at?" Blaine responded, popping the rest of his taco into his mouth and chewing.
"Google. Being tearful is a common symptom of mental illness, and uncontrollable outbursts of crying is part of anxiety," he paraphrased, looking up from his phone at Blaine and taking another bite. "Soun like ou."
"Fucking swallow before you speak," Blaine chastised, cringing, but Kurt just gave him a wink. "And Im not crazy."
Kurt actually did manage to swallow before speaking again. "I dont think thats very PC of you," he pointed out.
"But Im not."
"Youre acting like being gay wasnt a mental health issue fifty years ago." Kurt stuffed the last bite of the taco into his mouth and balled up the wrapper with one hand, chucking it at the nearest bin. It bounced on the rim and landed inside.
"I dont care. I dont have a mental disorder," Blaine insisted again, toeing the armrest of the bench. "Drop it."
## Someone pasted data records at this point
+++
No. 1
Diffraction record for Th3Co6Ge2. The XRD peak list is computed, not measured: it uses a structure optimized by DFT (GGA-PBE) and a wavelength of 1.5418 Å.

Cell and atoms:
abc: 7.7512 7.7512 7.7512
angles: 109.47 109.47 109.47
Sites, in units of the cell vectors:
1 Th 0.0000 0.2871 0.2871
2 Th 0.0000 0.7129 0.7129
3 Th 0.2871 0.0000 0.2871
4 Th 0.2871 0.2871 0.0000
5 Th 0.7129 0.0000 0.7129
6 Th 0.7129 0.7129 0.0000
7 Co 0.0000 0.3475 0.6525
8 Co 0.0000 0.6525 0.3475
9 Co 0.3051 0.6525 0.6525
10 Co 0.3475 0.0000 0.6525
11 Co 0.3475 0.3475 0.6949
12 Co 0.3475 0.6525 0.0000
13 Co 0.3475 0.6949 0.3475
14 Co 0.6525 0.0000 0.3475
15 Co 0.6525 0.3051 0.6525
16 Co 0.6525 0.3475 0.0000
17 Co 0.6525 0.6525 0.3051
18 Co 0.6949 0.3475 0.3475
19 Ge 0.0000 0.0000 0.5000
20 Ge 0.0000 0.5000 0.0000
21 Ge 0.5000 0.0000 0.0000
22 Ge 0.5000 0.5000 0.5000

Main lines, in order of falling intensity (10 to 90 degrees two-theta):
two_theta  I_rel
42.87  100.0
34.72  73.3
31.61  48.8
24.36  47.6
56.30  41.1
40.31  32.5
78.54  29.4
37.60  26.4
69.69  24.6
88.81  19.1

No. 2
Diffraction record for Na16Tl12Ag. The XRD peak list is computed, not measured: it uses a structure optimized by DFT (GGA-PBE) and a wavelength of 1.5418 Å.

Cell and atoms:
abc: 10.2758 10.2758 10.3328
angles: 109.37 109.37 108.85
Sites, in units of the cell vectors:
1 Na 0.0000 0.0000 0.0000
2 Na 0.0076 0.3177 0.5975
3 Na 0.0112 0.3546 0.0118
4 Na 0.0134 0.5993 0.3265
5 Na 0.0159 0.0159 0.3527
6 Na 0.2957 0.6911 0.7093
7 Na 0.3177 0.0076 0.5975
8 Na 0.3297 0.5813 0.9960
9 Na 0.3546 0.0112 0.0118
10 Na 0.4331 0.7338 0.4320
11 Na 0.5813 0.3297 0.9960
12 Na 0.5993 0.0134 0.3265
13 Na 0.6304 0.6304 0.6838
14 Na 0.6911 0.2957 0.7093
15 Na 0.7085 0.7085 0.3003
16 Na 0.7338 0.4331 0.4320
17 Tl 0.0118 0.8174 0.6355
18 Tl 0.0131 0.6285 0.8263
19 Tl 0.1963 0.1963 0.8234
20 Tl 0.1961 0.3919 0.3895
21 Tl 0.2098 0.8141 0.2025
22 Tl 0.3919 0.1961 0.3895
23 Tl 0.3930 0.3930 0.2057
24 Tl 0.6285 0.0131 0.8263
25 Tl 0.6377 0.8284 0.0255
26 Tl 0.8141 0.2098 0.2025
27 Tl 0.8174 0.0118 0.6355
28 Tl 0.8284 0.6377 0.0255
29 Ag 0.3448 0.3448 0.6678

Main lines, in order of falling intensity (10 to 90 degrees two-theta):
two_theta  I_rel
18.23  100.0
18.32  92.2
18.07  71.1
35.45  66.0
31.81  55.4
31.98  53.8
35.28  49.7
34.95  43.5
31.67  36.7
38.46  36.4

No. 3
Diffraction record for Pm12CoPt6. The XRD peak list is computed, not measured: it uses a structure optimized by DFT (GGA-PBE) and a wavelength of 1.5418 Å.

Cell and atoms:
abc: 8.3599 8.3599 8.3599
angles: 98.93 98.93 98.93
Sites, in units of the cell vectors:
1 Pm 0.0419 0.6848 0.9307
2 Pm 0.0693 0.9581 0.3152
3 Pm 0.1779 0.4234 0.5852
4 Pm 0.3152 0.0693 0.9581
5 Pm 0.4148 0.8221 0.5766
6 Pm 0.4234 0.5852 0.1779
7 Pm 0.5766 0.4148 0.8221
8 Pm 0.5852 0.1779 0.4234
9 Pm 0.6848 0.9307 0.0419
10 Pm 0.8221 0.5766 0.4148
11 Pm 0.9307 0.0419 0.6848
12 Pm 0.9581 0.3152 0.0693
13 Co 0.0000 0.0000 0.0000
14 Pt 0.1337 0.6179 0.3063
15 Pt 0.3063 0.1337 0.6179
+++
## Back to the page
"You should still get screened for it."
"Ooh, an online questionnaire-"
"Kurt, shut the fuck up," Blaine said loudly, looking up at the boy with exasperation. He raised his brows in shock. "Why are you looking at me like that? And why are you Googling this shit?"
He could see Kurt trying not to roll his eyes. "Oh, god forbid I help you, right? For fucks sake Blaine, swallow your fucking pride for once."
Dont you think Ive already done that today? Once again, Blaines tongue didnt want to work with him. Something instinctual was telling him his words were too risky for the air around him. "Its not pride," Blaine muttered, shaking his head and looking away.
"Yeah fucking right," Kurt scoffed, kicking Blaines shin. "Get your priorities together, B," Kurt snapped at Blaines affronted expression. "Who fucking cares if this is an issue? You dont have to announce it to the whole world. Just acknowledge it and itll help deal with it." The boy chucked his phone down into Blaines lap and swung off the bench in a single motion. "Answer the questions on there. Im getting fries."
Blaine opened his mouth to reply, but Kurt was already off. He let out a frustrated breath and snatched up the phone, half-passive aggressive about it. On the webpage, there was a list of tick-boxes, never all the way to always, next to statements.
I feel worried about many different things. Blaine huffed out a breath. "Duh, I go to fucking high school," he muttered. Always.
I have trouble sleeping or staying asleep. Blaine would have laughed if it wasnt so sad. Always.
I feel restless. Always.
I find it hard to concentrate. Often.
Im scared that bad things are going to happen. Often.
I feel worthless. Always. Blaines smile was slipping off his face. All these thoughts circulating in his head werent meant to be seen. They werent meant to be tangible, quantifiable, imaginable.
I think about death. Never. Sometimes. Never. Blaine couldnt seem to make his thumb settle.
I get along well with people my age. Sometimes.
Im comfortable when I have to go places without my parents. Always. When are they ever there, anyway?
My heart races when Im worried. I get hot or cold flushes. I get shaky. I get short of breath.
Blaine swallowed when the questionnaire was finished. Behind him, he could hear Kurts boots against the walk way, could just about imagine him shovelling fries into his mouth past his brain whirring and slowing at the same time. He didnt turn away from the phone screen until Kurt snatched it from his hands.
"92 out of 100, huh? You really are neurotic."
"Youre not funny, Kurt."
"Yeah," Kurt agreed, lifting Blaines legs to sit on the bench properly, then placing them in his lap. "Neithers whatevers going on upstairs with you. Get some therapy."
"Oh, yeah, Ill just go do that, right? Let me grab some fucking money that I dont have and get going," Blaine muttered. His eyes were cast down at his feet. Questionnaires arent always accurate, he told himself. It doesnt know anything about me.
[Between two parts of the entry: materials data]
********
Computed powder diffraction line list of CeNi2H8 for Cu Kα (λ = 1.5418 Å), from a GGA-PBE-relaxed structure.
Peak positions follow from Bragg's law for the DFT cell and can differ from measured ones.

Crystal structure
a = 4.5021 Å, b = 4.5021 Å, c = 4.1651 Å
α = 90.00°, β = 90.00°, γ = 117.52°
Fractional positions:
Ce 0.0000 0.0000 0.0000
Ni 0.3287 0.6713 0.5000
Ni 0.6713 0.3287 0.5000
H 0.0214 0.2947 0.5000
H 0.2947 0.0214 0.5000
H 0.3174 0.6826 0.0000
H 0.5000 0.5000 0.2584
H 0.5000 0.5000 0.7416
H 0.6826 0.3174 0.0000
H 0.7053 0.9786 0.5000
H 0.9786 0.7053 0.5000

The 8 most intense peaks (2θ = 10–90°), by angle:
2θ/deg, Rel. int.
22.3, 16
31.0, 100
31.7, 53
38.6, 26
40.1, 45
43.5, 19
50.7, 28
60.6, 27

***

Computed powder diffraction line list of YThAsS for Cu Kα (λ = 1.5418 Å), from a GGA-PBE-relaxed structure.
Peak positions follow from Bragg's law for the DFT cell and can differ from measured ones.

Crystal structure
a = 4.0705 Å, b = 4.0705 Å, c = 5.8619 Å
α = 90.00°, β = 90.00°, γ = 90.00°
Fractional positions:
Y 0.0000 0.0000 0.0000
Th 0.5000 0.5000 0.5000
As 0.5000 0.5000 0.0000
S 0.0000 0.0000 0.5000

The 8 most intense peaks (2θ = 10–90°), by angle:
2θ/deg, Rel. int.
21.8, 39
26.7, 66
30.5, 53
31.1, 100
44.1, 76
44.5, 37
54.9, 40
81.7, 25

***

Computed powder diffraction line list of Pm6Tm8Sc for Cu Kα (λ = 1.5418 Å), from a GGA-PBE-relaxed structure.
Peak positions follow from Bragg's law for the DFT cell and can differ from measured ones.

Crystal structure
a = 8.6012 Å, b = 8.6012 Å, c = 8.6012 Å
α = 62.99°, β = 62.99°, γ = 62.99°
Fractional positions:
Pm 0.0417 0.6049 0.7230
Pm 0.2770 0.9583 0.3951
Pm 0.3951 0.2770 0.9583
Pm 0.6049 0.7230 0.0417
Pm 0.7230 0.0417 0.6049
Pm 0.9583 0.3951 0.2770
Tm 0.0768 0.0768 0.0768
Tm 0.2184 0.6109 0.2498
Tm 0.2498 0.2184 0.6109
Tm 0.3891 0.7502 0.7816
Tm 0.6109 0.2498 0.2184
Tm 0.7502 0.7816 0.3891
Tm 0.7816 0.3891 0.7502
Tm 0.9232 0.9232 0.9232
Sc 0.5000 0.5000 0.5000

The 8 most intense peaks (2θ = 10–90°), by angle:
2θ/deg, Rel. int.
30.7, 27
31.6, 100
32.6, 29
32.8, 12
37.0, 16
53.4, 13
54.4, 12
60.7, 12

***

Computed powder diffraction line list of Mg3Al3Pt2 for Cu Kα (λ = 1.5418 Å), from a GGA-PBE-relaxed structure.
Peak positions follow from Bragg's law for the DFT cell and can differ from measured ones.

Crystal structure
a = 7.3244 Å, b = 15.3504 Å, c = 5.2955 Å
α = 90.00°, β = 90.00°, γ = 90.00°
Fractional positions:
Mg 0.0213 0.1202 0.0920
Mg 0.0213 0.3798 0.0920
Mg 0.1690 0.2500 0.6362
Mg 0.3310 0.7500 0.1362
Mg 0.4787 0.6202 0.5920
Mg 0.4787 0.8798 0.5920
Mg 0.5213 0.1202 0.4080
Mg 0.5213 0.3798 0.4080
Mg 0.6690 0.2500 0.8638
Mg 0.8310 0.7500 0.3638
Mg 0.9787 0.6202 0.9080
Mg 0.9787 0.8798 0.9080
Al 0.1713 0.0320 0.6058
Al 0.1713 0.4680 0.6058
Al 0.1744 0.7500 0.6390
Al 0.3256 0.2500 0.1390
Al 0.3287 0.5320 0.1058
Al 0.3287 0.9680 0.1058
Al 0.6713 0.0320 0.8942
Al 0.6713 0.4680 0.8942
Al 0.6744 0.7500 0.8610
Al 0.8256 0.2500 0.3610
Al 0.8287 0.5320 0.3942
********
[Here the entry continues]
"See Pillsbury, then. Shell give you a leaflet." Kurt cleared his throat, pitching his voice higher, more nasal. "Well, Im Fucked: 101 On Mental Health; I Cant Stop Crying: Help?"
Blaine pulled his legs off his lap. "Im glad this is funny to you," he muttered, getting up and snatching his jacket. Irritation, as per usual, was pricking under his scalp. Kurt was being the annoying kid on the bus pressing the stop button over and over: ding, ding, ding, like a fucking alarm.
"Im just fucking with you, B," came Kurts voice behind him. Ding, ding, ding-
Blaine tugged his jacket on. "I dont need your shit right now! Fuck off, Kurt!" he snapped, glancing back before beginning to storm off. He shook Kurts expression from his mind. He doesnt care. Nobody cares. Who would? was his first thought. Then: Theres nothing to care about. Then: Why are you starting to shake, then? They shot like a pinball against his skull. The bell kept ringing in his head all the way to the bus stop.